## Source
/*
Entry 1:
# C21H24N2O3

C21H24N2O3 as an isolated structure (the ωB97M-V functional and the def2-TZVPD basis, OMol25).

Spin multiplicity: 1
Energy above the lowest of the compared OMol25 structures with the same formula, charge and spin: 111.01 kcal per mole
Gap between HOMO and LUMO: 6.2069 eV
HOMO level: -6.774 eV

Last column: Mulliken charge in e.
Atoms and positions in Å:
1 O -3.90 0.02 0.66  -0.72
2 C -3.68 1.24 0.76  0.58
3 O -3.63 2.08 1.67  -0.70
4 C -3.27 1.88 -0.63  -0.41
5 C -3.60 3.38 -0.77  -0.78
6 C -2.31 4.04 -0.43  0.52
7 C -1.30 3.06 -0.33  0.48
8 C 0.03 3.39 -0.05  -0.77
9 C 0.30 4.72 0.29  -0.77
10 C -0.70 5.70 0.15  -0.43
11 C -2.01 5.38 -0.23  -0.76
12 N -1.84 1.79 -0.53  0.14
13 C -1.21 0.58 -0.51  -0.86
14 C -0.05 0.27 0.17  -1.01
15 C 0.82 -0.88 -0.13  0.70
16 C 2.24 -0.72 0.38  0.23
17 C 3.34 -1.13 -0.37  -0.19
18 C 4.62 -1.04 0.20  -0.59
19 C 4.81 -0.50 1.47  -0.47
20 C 3.70 -0.05 2.18  -0.76
21 C 2.41 -0.19 1.67  -0.34
22 H -3.67 1.27 -1.43  0.47
23 H -3.90 3.59 -1.80  0.28
24 H -4.42 3.70 -0.12  0.39
25 H 0.79 2.62 -0.08  0.76
26 H 1.29 4.99 0.67  0.37
27 H -0.45 6.75 0.35  0.34
28 H -2.80 6.13 -0.36  0.41
29 H -1.80 -0.25 -0.90  0.41
30 H 0.27 0.93 0.99  0.61
31 H 0.75 -1.26 -1.16  0.47
32 H 3.19 -1.53 -1.39  0.37
33 H 5.46 -1.40 -0.39  0.38
34 H 5.81 -0.43 1.90  0.40
35 H 3.81 0.41 3.16  0.39
36 H 1.54 0.08 2.27  0.40
37 C -0.42 -5.75 -1.27  -1.52
38 C 0.17 -4.37 -1.06  0.63
39 O -0.23 -3.58 -2.20  -0.56
40 C -0.34 -3.73 0.22  -0.97
41 N 0.45 -2.54 0.69  -0.44
42 H -0.17 -6.42 -0.43  0.39
43 H -1.51 -5.69 -1.33  0.36
44 H -0.06 -6.22 -2.19  0.36
45 H 1.27 -4.47 -1.04  0.27
46 H 0.37 -2.82 -2.31  0.31
47 H -1.39 -3.44 0.09  0.37
48 H -0.28 -4.50 1.00  0.40
49 H 0.05 -2.23 1.58  0.44
50 H 1.42 -2.85 0.92  0.41

Entry 2:
# C4H5N3

A single C4H5N3 molecule (the ωB97M-V functional and the def2-TZVPD basis, OMol25).

Spin multiplicity: 1
Energy above the lowest of the compared OMol25 structures with the same formula, charge and spin: 38.02 kcal per mole
Gap between HOMO and LUMO: 9.6268 eV
Structure (SMILES): Nc1ncccn1
HOMO level: -9.011 eV

Last column: Mulliken charge in e.
Atoms and positions in Å:
1 N 2.28 -0.42 -0.26  -0.43
2 C 0.89 -0.27 -0.32  0.39
3 N 0.20 -1.28 0.18  -0.57
4 C -1.13 -1.04 0.28  -0.06
5 C -1.69 0.20 0.16  -0.35
6 C -0.83 1.31 -0.05  -0.05
7 N 0.34 1.07 -0.58  -0.50
8 H 2.89 0.02 -0.93  0.24
9 H 2.64 -0.38 0.68  0.22
10 H -1.76 -1.90 0.49  0.40
11 H -2.75 0.33 0.04  0.38
12 H -1.10 2.34 0.29  0.34

no.,electronic energy (a.u.),lowest unoccupied orbital energy (eV)
1,-1149.7509,-0.567
2,-319.6516,0.616


Record 1
*/

## Request
Give back the whole of the notes further above exactly, please.

## Reply
Entry 1:
# C21H24N2O3

C21H24N2O3 as an isolated structure (the ωB97M-V functional and the def2-TZVPD basis, OMol25).

Spin multiplicity: 1
Energy above the lowest of the compared OMol25 structures with the same formula, charge and spin: 111.01 kcal per mole
Gap between HOMO and LUMO: 6.2069 eV
HOMO level: -6.774 eV

Last column: Mulliken charge in e.
Atoms and positions in Å:
1 O -3.90 0.02 0.66  -0.72
2 C -3.68 1.24 0.76  0.58
3 O -3.63 2.08 1.67  -0.70
4 C -3.27 1.88 -0.63  -0.41
5 C -3.60 3.38 -0.77  -0.78
6 C -2.31 4.04 -0.43  0.52
7 C -1.30 3.06 -0.33  0.48
8 C 0.03 3.39 -0.05  -0.77
9 C 0.30 4.72 0.29  -0.77
10 C -0.70 5.70 0.15  -0.43
11 C -2.01 5.38 -0.23  -0.76
12 N -1.84 1.79 -0.53  0.14
13 C -1.21 0.58 -0.51  -0.86
14 C -0.05 0.27 0.17  -1.01
15 C 0.82 -0.88 -0.13  0.70
16 C 2.24 -0.72 0.38  0.23
17 C 3.34 -1.13 -0.37  -0.19
18 C 4.62 -1.04 0.20  -0.59
19 C 4.81 -0.50 1.47  -0.47
20 C 3.70 -0.05 2.18  -0.76
21 C 2.41 -0.19 1.67  -0.34
22 H -3.67 1.27 -1.43  0.47
23 H -3.90 3.59 -1.80  0.28
24 H -4.42 3.70 -0.12  0.39
25 H 0.79 2.62 -0.08  0.76
26 H 1.29 4.99 0.67  0.37
27 H -0.45 6.75 0.35  0.34
28 H -2.80 6.13 -0.36  0.41
29 H -1.80 -0.25 -0.90  0.41
30 H 0.27 0.93 0.99  0.61
31 H 0.75 -1.26 -1.16  0.47
32 H 3.19 -1.53 -1.39  0.37
33 H 5.46 -1.40 -0.39  0.38
34 H 5.81 -0.43 1.90  0.40
35 H 3.81 0.41 3.16  0.39
36 H 1.54 0.08 2.27  0.40
37 C -0.42 -5.75 -1.27  -1.52
38 C 0.17 -4.37 -1.06  0.63
39 O -0.23 -3.58 -2.20  -0.56
40 C -0.34 -3.73 0.22  -0.97
41 N 0.45 -2.54 0.69  -0.44
42 H -0.17 -6.42 -0.43  0.39
43 H -1.51 -5.69 -1.33  0.36
44 H -0.06 -6.22 -2.19  0.36
45 H 1.27 -4.47 -1.04  0.27
46 H 0.37 -2.82 -2.31  0.31
47 H -1.39 -3.44 0.09  0.37
48 H -0.28 -4.50 1.00  0.40
49 H 0.05 -2.23 1.58  0.44
50 H 1.42 -2.85 0.92  0.41

Entry 2:
# C4H5N3

A single C4H5N3 molecule (the ωB97M-V functional and the def2-TZVPD basis, OMol25).

Spin multiplicity: 1
Energy above the lowest of the compared OMol25 structures with the same formula, charge and spin: 38.02 kcal per mole
Gap between HOMO and LUMO: 9.6268 eV
Structure (SMILES): Nc1ncccn1
HOMO level: -9.011 eV

Last column: Mulliken charge in e.
Atoms and positions in Å:
1 N 2.28 -0.42 -0.26  -0.43
2 C 0.89 -0.27 -0.32  0.39
3 N 0.20 -1.28 0.18  -0.57
4 C -1.13 -1.04 0.28  -0.06
5 C -1.69 0.20 0.16  -0.35
6 C -0.83 1.31 -0.05  -0.05
7 N 0.34 1.07 -0.58  -0.50
8 H 2.89 0.02 -0.93  0.24
9 H 2.64 -0.38 0.68  0.22
10 H -1.76 -1.90 0.49  0.40
11 H -2.75 0.33 0.04  0.38
12 H -1.10 2.34 0.29  0.34

no.,electronic energy (a.u.),lowest unoccupied orbital energy (eV)
1,-1149.7509,-0.567
2,-319.6516,0.616


Record 1